
Every year, it happens: someone asks, with total confidence in my response, "How will you make it without us next year?". They expect me to say, "Oh, God! I'll be so miserable! What will I ever do?!?". My response, though, is never what they want to hear, "I'll be just fine." And, I will. I will because I've been teaching high school students for 10 years now and every year, seniors graduate, and every year, I survive. In fact, I'm often pretty glad to see them go. And, if they didn't go, it would be a real bummer. A bunch of 20-somethings wandering around still taking Algebra and Team Sports? Huge bummer.
Still, they can't imagine a world that goes on doing what it does without them. They've never had to. I remember my first few classes of seniors. I was genuinely sad to see some of them go. I knew I would miss them terribly and I even sometimes felt I'd like to be in their shoes again: fresh-faced and with my whole life in front of me. I was jealous that they got to leave and I was stuck there...still talking about The Great Gatsby and Huck Finn. That's when I knew I needed to find another career path!
Now, I've reached a point in my life - twenty years from my own high school graduation - where I am over the hubbub. Yes, you're graduating and it's great, but the next class will do it, too. Then, the next class. Then, the next. It will keep happening and they'll keep going out into the world and finding their way. It's what has to happen in order for any of us to survive. I am not interested in celebrating it anymore. Luckily, the celebrations aren't for me. So, I don't have to invest in them.
Next to the article, the page also holds quantum chemistry results.
/*
Below is a cluster of 4 separate species, C17H43FNO4S in total, with properties calculated with ωB97M-V/def2-TZVPD.

Properties
Charge: +1
HOMO-LUMO gap in eV: 8.1
Multiplicity: 1
Calculated total energy in eV: -41550.6773
Strongest force on any atom in eV/Å: 0.63

CARTESIAN COORDINATES (ANGSTROEM)
1 C -0.991761 -4.388278 1.037946
2 N -0.580319 -2.985799 0.908093
3 C -0.478615 -2.228840 2.099539
4 S 1.204601 -2.354211 2.810237
5 O 1.509453 -3.930910 2.756658
6 C 0.898248 -2.108162 4.562932
7 C 1.898393 -2.894142 5.408252
8 C 1.870176 -2.454140 6.852851
9 F 3.161191 -2.647401 4.866832
10 H -1.721021 -4.532774 1.843785
11 H -0.139628 -5.038363 1.221760
12 H -1.442661 -4.697080 0.096215
13 H -1.172928 -2.510039 0.236574
14 H -0.508180 -1.156657 1.865016
15 H -1.226552 -2.420179 2.881278
16 H 2.315092 -4.073151 2.230516
17 H -0.130132 -2.381933 4.803210
18 H 1.027856 -1.032899 4.721130
19 H 1.703159 -3.962617 5.310637
20 H 2.553793 -3.076002 7.430316
21 H 0.869738 -2.542476 7.277893
22 H 2.212960 -1.420755 6.928766
23 C -0.889428 4.393388 2.107736
24 C -0.195156 3.063020 2.328258
25 O -1.087007 1.960282 2.474454
26 C -1.935048 1.713113 1.364299
27 C -1.173634 1.357826 0.100489
28 H -1.630127 4.572666 2.887877
29 H -0.154734 5.198043 2.133268
30 H -1.389227 4.441540 1.139890
31 H 0.367707 3.087001 3.261618
32 H 0.522002 2.871960 1.522299
33 H -2.611241 2.554245 1.185232
34 H -2.558039 0.871338 1.674357
35 H -0.602906 2.198165 -0.297110
36 H -1.857424 1.023113 -0.680595
37 H -0.463451 0.553725 0.317655
38 C 0.537790 -1.823730 -3.234199
39 C -0.169398 -2.918568 -2.454806
40 O -1.557561 -2.705564 -2.250857
41 C -2.352892 -2.622548 -3.429306
42 C -2.324839 -3.880102 -4.277361
43 H 0.320600 -0.844222 -2.803800
44 H 1.615495 -1.986747 -3.204481
45 H 0.237722 -1.805755 -4.282378
46 H 0.238073 -2.964933 -1.445034
47 H 0.016857 -3.894376 -2.916890
48 H -2.058287 -1.751224 -4.023230
49 H -3.364567 -2.437175 -3.069532
50 H -1.346749 -4.052540 -4.727829
51 H -3.047679 -3.791222 -5.088245
52 H -2.583835 -4.753605 -3.677514
53 C 1.727047 6.287723 -3.407577
54 C 1.936805 5.174972 -2.396386
55 O 0.761819 4.433693 -2.101458
56 C 0.172043 3.755950 -3.196872
57 C 1.066481 2.700707 -3.826432
58 H 0.905860 6.935100 -3.097931
59 H 2.632781 6.889439 -3.486482
60 H 1.501116 5.902994 -4.402796
61 H 2.245444 5.596768 -1.439775
62 H 2.740049 4.506100 -2.725795
63 H -0.175711 4.462285 -3.958149
64 H -0.716886 3.280258 -2.779118
65 H 1.924387 3.139514 -4.336774
*/
End of the quantum chemistry results.
I'm the yearbook adviser again this year. Last year, I created the book myself. My student volunteers were sweet but not very helpful. This year, I had a class of students who worked hard on it until January, when the semester (and the class) ended. Today, I called my editors back in to ask them to help me finish the book before next week's deadline. Previously, I might have sweated and stressed about it all by myself. I might have finished the book alone after hours and hours of hard work. This year, I have come to terms with the fact that it isn't my yearbook. I'm not graduating from high school. I don't have to do it all by myself. In fact, the students should be invested in producing a beautiful yearbook for themselves...and, luckily, they are. So, I'm passing it off to them, which is how it's supposed to be.
I'm leaving this job at the end of the school year. I haven't officially given my notice but it's an open secret because of this blog. Everyone knows about my road trip. I think the best way to celebrate my graduation is to hand off all of the weight I've been carrying around for my students to my students. That's how you really help educate. I needed to learn it first, apparently, but now that I know, it's a relief. Ten years of teaching and working with high schoolers and I finally understand what being a teacher really means.
Now, I'm ready to graduate to the next phase of my life. I don't know what that is yet, but I'm sure that I'll learn something entirely new...and then, I hope I can pass it on.